Application Process
Please read all information carefully before accessing the application portal at the bottom of the page. Contact us at with any inquiries or concerns.
Early Bird I Registration Deadline: March 7th, 2025
Early Bird II Registration Deadline: April 1st, 2025
Regular Registration Deadline: May 1st, 2025
Delegate Names and Liability Waivers Deadline: May 15th, 2025
Late Registration Deadline: May 22nd, 2025
In order to be eligible to apply for HMUN Australia 2025, applicants must be 13 years of age or older and enrolled in, or recently graduated from, a high school (secondary school or senior secondary school) during the period of May 29th to June 1st, 2025. University students are not eligible to apply for HMUN Australia 2025.
We understand that some high schools may culminate before the dates of the conference. You are eligible to apply to HMUN Australia 2025 as long as you will not be matriculated in a university during the period of May 29th to June 1st, 2025.
By submitting an application, you indicate that you have read — and are agreeing to — the Terms and Conditions of HMUN Australia 2025.
Application Decisions
HMUN applications are highly competitive; therefore, we greatly encourage delegations to apply early to increase their chances of acceptance. Decisions will be released on a rolling basis. Please be patient as we evaluate your application materials.
Please note that due to the competitive nature of HMUN Australia applications, acceptance to the conference is not guaranteed.
Applications through MUNBase will only be considered after payment has been received via the Typeform.
HMUN will only begin assigning countries after we have processed your application, accepted your delegation, and received full payment from you. As such, delegates/delegations should apply and pay as soon as possible, to ensure that they have ample time to upload delegate names and liability waivers to MUNBase before the May 15, 2025 deadline.
Individual Delegates
Individuals not applying as a delegation through their school may also apply to HMUN Australia through MUNBase after completing the Typeform and submitting payment.
All delegations, regardless of size, are required to have a faculty advisor present.
Conference Fees
Payment should be submitted prior to completing an application on MUNBase via the Typeform. You will not receive any country assignments, and will not be able to proceed with other steps such as submitting liability waivers, until we have received full payment from you.
Below are the Conference fees, which apply to all delegations wishing to attend and compete at HMUN Australia 2025. Please note that Faculty Advisor fees are applied for each advisor (in other words, please multiply the number of advisors your school wishes to bring by the fee indicated below):
Faculty Advisor Fee: AUD$300 per Faculty Advisor
If you are applying as an individual, or if your delegation (school/group) includes 1-3 delegates:
Individual Delegate Fee (Early Bird I): AUD$340 per delegate
=====
1.
VASP calculation (GGA+U) on a relaxed MgMn6O8F4 crystal.

a b c (Å): 3.061 5.237 14.397
angles (deg): 79.63 89.98 89.97
Element x y z (fractional)
Mg (0.000, 0.000, 0.000)
Mn (0.492, 0.008, 0.663)
Mn (0.492, 0.993, 0.337)
Mn (0.500, 0.500, 0.000)
Mn (0.993, 0.460, 0.781)
Mn (0.993, 0.500, 0.500)
Mn (0.993, 0.541, 0.219)
O (0.000, 0.381, 0.928)
O (0.492, 0.320, 0.248)
O (0.493, 0.317, 0.567)
O (0.493, 0.682, 0.753)
O (0.493, 0.684, 0.433)
O (0.987, 0.142, 0.726)
O (0.987, 0.860, 0.274)
O (0.999, 0.619, 0.072)
F (0.500, 0.103, 0.075)
F (0.500, 0.897, 0.926)
F (0.999, 0.160, 0.404)
F (0.999, 0.840, 0.597)



2.
VASP calculation (GGA+U) on a relaxed CsLi7Ni2O6 crystal.

a b c (Å): 5.427 5.427 10.250
angles (deg): 93.22 93.22 40.06
Element x y z (fractional)
Cs (0.000, 0.000, 0.000)
Li (0.166, 0.166, 0.273)
Li (0.249, 0.249, 0.583)
Li (0.269, 0.269, 0.894)
Li (0.500, 0.500, 0.500)
Li (0.731, 0.731, 0.106)
Li (0.751, 0.751, 0.417)
Li (0.834, 0.834, 0.727)
Ni (0.417, 0.417, 0.258)
Ni (0.583, 0.583, 0.742)
O (0.296, 0.296, 0.115)
O (0.328, 0.328, 0.412)
O (0.400, 0.400, 0.735)
O (0.600, 0.600, 0.265)
O (0.672, 0.672, 0.588)
O (0.704, 0.704, 0.885)



3.
VASP calculation (GGA+U) on a relaxed Mn7PbO12 crystal.

a b c (Å): 6.547 6.547 6.547
angles (deg): 109.49 109.49 109.49
Element x y z (fractional)
Mn (0.000, 0.000, 0.000)
Mn (0.000, 0.000, 0.500)
Mn (0.000, 0.500, 0.000)
Mn (0.000, 0.500, 0.500)
Mn (0.500, 0.000, 0.000)
Mn (0.500, 0.000, 0.500)
Mn (0.500, 0.500, 0.000)
Pb (0.500, 0.500, 0.500)
O (0.011, 0.183, 0.318)
O (0.183, 0.318, 0.011)
O (0.190, 0.692, 0.368)
O (0.308, 0.632, 0.810)
O (0.318, 0.011, 0.183)
O (0.368, 0.190, 0.692)
O (0.632, 0.810, 0.308)
O (0.682, 0.989, 0.817)
O (0.692, 0.368, 0.190)
O (0.810, 0.308, 0.632)
O (0.817, 0.682, 0.989)
O (0.989, 0.817, 0.682)



4.
VASP calculation (GGA+U) on a relaxed BaNdEuVO6 crystal.

a b c (Å): 5.978 5.978 5.978
angles (deg): 60.00 60.00 60.00
Element x y z (fractional)
Ba (0.000, 0.000, 0.000)
Nd (0.250, 0.250, 0.250)
Eu (0.500, 0.500, 0.500)
V (0.750, 0.750, 0.750)
O (0.523, 0.523, 0.977)
O (0.523, 0.977, 0.523)
O (0.523, 0.977, 0.977)
O (0.977, 0.523, 0.523)
O (0.977, 0.523, 0.977)
O (0.977, 0.977, 0.523)



5.
VASP calculation (GGA+U) on a relaxed Ag2Mo3O12 crystal.

a b c (Å): 13.872 7.754 9.278
angles (deg): 90.00 90.00 90.00
Element x y z (fractional)
Ag (0.000, 0.000, 0.000)
Ag (0.000, 0.500, 0.000)
Ag (0.197, 0.250, 0.054)
Ag (0.303, 0.750, 0.554)
Ag (0.500, 0.000, 0.500)
Ag (0.500, 0.500, 0.500)
Ag (0.697, 0.250, 0.446)
Ag (0.803, 0.750, 0.946)
Mo (0.097, 0.250, 0.666)
Mo (0.101, 0.502, 0.379)
Mo (0.101, 0.998, 0.379)
Mo (0.399, 0.002, 0.879)
Mo (0.399, 0.498, 0.879)
Mo (0.403, 0.750, 0.166)
Mo (0.597, 0.250, 0.834)
Mo (0.601, 0.502, 0.121)
Mo (0.601, 0.998, 0.121)
Mo (0.899, 0.002, 0.621)
Mo (0.899, 0.498, 0.621)
Mo (0.903, 0.750, 0.334)
O (0.060, 0.015, 0.610)
O (0.060, 0.485, 0.610)
O (0.069, 0.750, 0.373)
O (0.071, 0.250, 0.856)
O (0.091, 0.250, 0.424)
O (0.100, 0.750, 0.901)
=====
Individual Delegate Fee (Early Bird II): AUD$390 per delegate
Individual Delegate Fee (Regular): AUD$490 per delegate
Individual Delegate Fee (Late): AUD$550 per delegate
If you are applying as a delegation (school/group) that includes 4 or more delegates:
Group Delegate Fee (Early Bird I): AUD$290 per delegate
Group Delegate Fee (Early Bird II): AUD$340 per delegate
Group Delegate Fee (Regular): AUD$440 per delegate
Group Delegate Fee (Late): AUD$500 per delegate
The deadlines for each registration cycle (Early Bird I, Early Bird II, Regular, Late) are provided at the top of this page.
You will not receive any country assignments, and will not be able to proceed with other steps such as submitting liability waivers, until we have received full payment from you.
An additional fee of AUD$50 per person will apply to delegate names and liability waivers submitted after the deadline (May 15th, 2025).
Please note that no refunds will be provided.
Filling Out Your Delegation Portal
You must fill out the Delegation Portal after you have submitted payment via the Typeform. Please fill out only one response per delegation. The person who registered via the Typeform should fill out the Portal.
You will upload liability waivers (linked in the Portal) for each member of your delegation in the Portal, as well as committee preferences and information on dietary restrictions for our lunch catering.
The deadline to upload liability waivers is May 15, 2025. Please fill out the delegation portal as soon as possible, however, in order for our team to assign committees and countries to your delegation.
Our team will communicate your delegation’s committee and country assignments by email after you complete the Portal.